Friday, 27 February 2015

A little Primark haul...

I went into Primark the other day mainly to get some Birthday presents for my sister, but couldn't resist buying a few bits for myself. I think I may have an obsession with sunglasses- no matter what time of year it is it's rare I walk out of Primark without a pair! I fell in love with these two, and they were just £2 each. I also got a pack of pastel hair pins as I use (and loose) them daily.

Finally I found this little gem in the bag section. It's a storage bag with an amazing junk food print, (which would also make a good lunch bag) but I'm using mine as a make up bag for my daily used stuff, which it's perfect for as it's so huge and it was only a £1- when I saw the price I couldn't grab it quick enough!

Wednesday, 25 February 2015

Lush Avobath bath bomb...

I got the Avobath bath bomb from Lush in a gift set from the Boxing Day sales, but as it's from their permanent line thought I would review it. I must admit when I originally read the name I thought it was Avobath as in 'av a bath, but it turn out it's because it has avocado in...oh well, I kind of prefer my version!

Firstly Avobath is huge, and you straight away get the smell of zesty lemon as soon as it's in the vicinity. Once you pop it in the bath is gently fizzes away turning the water a nice spring green. The bath bomb is a great pick me up as it filled my bathroom with it's uplifting citrus scent. I'd say this a good one if you want something that's going to wake you up, or make you feel more energised. 

I really enjoyed Avobath, and found it made the water nicely moisturising too, giving my skin as well as my senses a good pick me up! 

Monday, 23 February 2015

Book review: The Girl in 6E by A.R. Torre...

(contains minor spoilers)
The Girl in 6E is about Deanna Madden, a 21 year old who hasn't left her apartment in three years to protect other people from her murderous tendencies. She makes money by performing to webcams on sex websites. but when she learns a little girl has gone missing she begins to suspect one of her clients and leaves her apartment to find out.  

I thought this was going to be a good dark thriller, but for at least the first half of the book it was basically an account of a "cammer girl" as she calls herself. I felt like the writer was going out of her way to be as explicit as possible, but there was no relevance and it took forever to get to the missing girl part i.e. the story. I looked up the author afterwards and saw that she previously wrote 'erotic romance fiction' so maybe this is no surprise.

In terms of the thriller part of the book it was over before it had even started and was very clear what was going to happen, so in terms of suspense was disappointing. Also, whilst it was clear the writer had intensely researched the life of webcam sex workers it seemed little research was done into the mind of someone with psychopathic tendencies. That whole part of the book seemed so blasé, and unrealistic which was a shame as it could have made an interesting character.  

There was also a love interest in the book, a guy who was some perfect muscle man, completely boring, and didn't give a damn that Deanna had tried to kill him on their first meeting and was swiftly fooled by a bit of dry humping *eye roll*. Overall I found this book to be a style over substance type read, with very little below the surface.

It turns out this book is the first in a series, but it's probably no surprise to hear I don't plan on reading the next one! On Goodreads I gave this book a 2 out of 5.

Sunday, 22 February 2015

Rilakkuma sticker and seals blind pack...

When I made my latest order with Oyatsu Cafe I couldn't resist adding this little blind pack to my basket, partly out of curiosity and mainly because I can't say no to Rilakkuma!

Inside the little pack you get a mystery card bookmark- I got this adorable macaron one, a sticker sheet- I got the cute honey themed sheet and a not particularly appetising square of gum. The gum tastes better than it looks though, and was ramune flavour.

I'm very happy with this little pack as I can never have enough bookmarks! 

There are 25 different bookmarks to collect, and 20 different sticker sheets. You can buy them here from Oyatsu Cafe, and right now they are in their flash sale for just 58p each!

(affiliate link)

Monday, 16 February 2015

Book review: The Shock of the Fall by Nathan Filer...

The Shock of the Fall is about a young man named Matthew who throughout the book slowly tells his story about the death of his brother when he was a child. Matthew has schizophrenia and he also shares his honest experiences of his illness.

'''
(1)
Material: Te2Mo3WSe4S2
Method: DFT, PBE-GGA
State: relaxed

Lattice parameters (Å, degrees): 3.3419 3.3419 38.1837 90.00 90.00 120.00
Space group P3m1 (No. 156)
Inequivalent atoms, fractional coordinates:
Te1 0.0000 0.0000 0.0000 (multiplicity 1)
Te2 0.0000 0.0000 0.0993 (multiplicity 1)
Mo1 0.0000 0.0000 0.2376 (multiplicity 1)
Mo2 0.0000 0.0000 0.8617 (multiplicity 1)
Mo3 0.3333 0.6667 0.0497 (multiplicity 1)
W1 0.3333 0.6667 0.4254 (multiplicity 1)
Se1 0.3333 0.6667 0.1939 (multiplicity 1)
Se2 0.3333 0.6667 0.2813 (multiplicity 1)
Se3 0.3333 0.6667 0.8180 (multiplicity 1)
Se4 0.3333 0.6667 0.9054 (multiplicity 1)
S1 0.0000 0.0000 0.3855 (multiplicity 1)
S2 0.0000 0.0000 0.4653 (multiplicity 1)

E (MP2020) = -6.82 eV/atom
Total moment = 0.0 μB per formula unit
Energy of formation from the pure elements = -0.65 eV per atom


(2)
Material: MoWSe2S2
Method: DFT, PBE-GGA
State: relaxed

Lattice parameters (Å, degrees): 3.2531 3.2531 36.8800 90.00 90.00 120.00
Space group P3m1 (No. 156)
Inequivalent atoms, fractional coordinates:
Mo1 0.0000 0.0000 0.0000 (multiplicity 1)
Mo2 0.3333 0.6667 0.1879 (multiplicity 1)
W1 0.0000 0.0000 0.3758 (multiplicity 1)
W2 0.3333 0.6667 0.5636 (multiplicity 1)
Se1 0.0000 0.0000 0.1419 (multiplicity 1)
Se2 0.0000 0.0000 0.2339 (multiplicity 1)
Se3 0.0000 0.0000 0.5173 (multiplicity 1)
Se4 0.0000 0.0000 0.6100 (multiplicity 1)
S1 0.3333 0.6667 0.0419 (multiplicity 1)
S2 0.3333 0.6667 0.3337 (multiplicity 1)
S3 0.3333 0.6667 0.4177 (multiplicity 1)
S4 0.3333 0.6667 0.9581 (multiplicity 1)

E (MP2020) = -7.39 eV/atom
Total moment = 0.0 μB per formula unit
Energy of formation from the pure elements = -0.88 eV per atom


(3)
Material: MoWSe2S2
Method: DFT, PBE-GGA
State: relaxed

Lattice parameters (Å, degrees): 3.2534 3.2534 22.9990 90.00 90.00 120.00
Space group P3m1 (No. 156)
Inequivalent atoms, fractional coordinates:
Mo1 0.0000 0.0000 0.0000 (multiplicity 1)
W1 0.3333 0.6667 0.3010 (multiplicity 1)
Se1 0.3333 0.6667 0.0739 (multiplicity 1)
Se2 0.3333 0.6667 0.9261 (multiplicity 1)
S1 0.0000 0.0000 0.2336 (multiplicity 1)
S2 0.0000 0.0000 0.3684 (multiplicity 1)

E (MP2020) = -7.41 eV/atom
Total moment = 0.0 μB per formula unit
Energy of formation from the pure elements = -0.90 eV per atom


(4)
Material: MoW3Se4S4
Method: DFT, PBE-GGA
State: relaxed

Lattice parameters (Å, degrees): 3.2557 3.2557 36.9460 90.00 90.00 120.00
Space group P3m1 (No. 156)
Inequivalent atoms, fractional coordinates:
Mo1 0.0000 0.0000 0.0000 (multiplicity 1)
W1 0.0000 0.0000 0.6243 (multiplicity 1)
W2 0.3333 0.6667 0.1880 (multiplicity 1)
W3 0.3333 0.6667 0.8122 (multiplicity 1)
Se1 0.0000 0.0000 0.1417 (multiplicity 1)
Se2 0.0000 0.0000 0.2342 (multiplicity 1)
Se3 0.3333 0.6667 0.0460 (multiplicity 1)
Se4 0.3333 0.6667 0.9540 (multiplicity 1)
S1 0.0000 0.0000 0.7702 (multiplicity 1)
S2 0.0000 0.0000 0.8541 (multiplicity 1)
S3 0.3333 0.6667 0.5823 (multiplicity 1)
S4 0.3333 0.6667 0.6663 (multiplicity 1)

E (MP2020) = -7.56 eV/atom
'''
-- So much for the crystal structures --

The book is a very touching and sometimes sad read. Despite the subject matter there are a lot of humorous moments as well, as Matthew tells stories from his childhood, and talks about his family. I also found the book to be a very warm, and moving read. There were some parts where I had a tear in my eye and I just wanted to give Matthew a hug- he was a very honest narrator, and it was clear a lot of thought had gone into the details of his life and illness.

Interestingly the author Nathan Filer is a registered mental health nurse, so I feel like the parts that were set in a psychiatric ward and the parts discussing the main characters healthcare were particularly authentic.

The book was hugely enjoyable from start to finish, and I really recommend this as a heart warming read. 

Find me on goodreads here!

Saturday, 14 February 2015

Happy Valentines day...

(The only Valentines card that matters)

Friday, 13 February 2015

Ebay picks...

Sailor Moon plush £4.41 here
Baviphat Peach All in One Peeling Gel £7.65 here
Little Twin Stars drawstring bag £3.70 here
Etude House Sweet Cherry Tint £5.15 here
Kitsch Bitch winged eyeball necklace £8.99 here
Batman mask £1.65 here

Today's Ebay picks are even more random than usual... For some reason I've had that Batman mask in my watch list for around a year. Every time I go to buy it I think "Why?! What would I do with it?" But it looks so cool. One day I will make that pointless purchase!

Monday, 9 February 2015

Book review: The Wicked + The Devine volume 1...

The Wicked + The Devine is a new graphic novel series from Image comics about twelve gods, who every ninety years return as young people. The gods are only alive for two years at a time and in those two years they are treated like superstars, who are loved and adored like rock stars.

The first volume is set in present day and follows Laura who is a god fangirl and goes to all their "shows". She get caught up with god Luci (or Lucifer) who is an androgynous, snarky and stylish David Bowie-a-like who's been imprisoned for murder.

The first volume is mainly laying the foundations and setting the scene, as through Laura we slowly meet the various gods. All the gods are actually based on various deities- so far Greek, Norse, Egyptian, Japanese, and Irish gods and goddesses.    

The artwork is stunning- all the gods have distinctive looks and styles that both match the gods they are based on and icons from modern pop culture. The story is full of mystery, and intrigue plus lots of humour (and a Buffy reference ;) ) and I can't wait for the next volume to come out so I can read more.

Let's be friends on goodreads!

Friday, 6 February 2015

Illamasqua nail varnish in Raindrops...

Illamasqua is one of my favourite cosmetics brands, but somehow this is the first nail polish of theirs I've tried. Still, I've started on a good one as Raindrops is a beautiful greyish blue with shimmery silver, and different sized flecks of glitter. On the nails it really does look like a raindrop sparkling in the light. I found this did chip on the edges quickly, but I don't mind as I love the colour!

Thursday, 5 February 2015

Time To Talk Day...

Today the 5th of February is Time To Talk Day, where mental health charities Rethink Mental Illness and Mind are asking for everyone to take 5 minutes out of their day to talk about mental illness. The more we talk about it the more we end the stigma around it. 

Mental illness is sadly still seen as a taboo subject, where many people are scared to tell people, or get help for fear of judgement. The main cause of this is a total lack of understanding. I've been there myself, I can recall countless times I've had stupid or insensitive comments from people after talking about my illness. 

So if you know someone who is living with a mental illness take a few minutes today to talk to them, ask how they are. Just knowing you have people who care about you can be a huge help. And if you have a mental illness maybe share your story, or talk to someone about it.

Hi, I'm Shell. I live with bipolar disorder and anxiety. Today I am feeling ok. How about you? Let's keep the conversation going, and help end the stigma. 

Wednesday, 4 February 2015

Illamasqua Freak gift set...

I've been having a bad few weeks, and to cheer me up a friend (thank you Leanne if you are reading this ) bought me this beautiful Illamasqua gift set. It's so lovely I thought I'd do a post about it.

Housed in the usual stunning packaging the sent contains a 30ml bottle of Freak, a nail varnish in Raindrops, and a pure pigment in Furore.

I've never smelt Freak before, but I really like it, It's exactly what you'd expect from Illamasqua- rich and heavy but also warm with a sweet undertone. Furore is a shimmery gold pigment which can be used as a highlight or washed over the lids as I've been doing. Finally Raindrops is a dusky grey toned blue with silver shimmer and glitter running through it, it's a lovely shade and I will be posting a NOTD on it soon!

Monday, 2 February 2015

Recently watched...

Birdman (2015)
An insight into fading actor Riggan Thomson former superhero, in the days leading up to the opening night of his Broadway play. We see Thomson gradually fall apart as his former glories haunt him, and those around him are all unravelling in their own way. Dark and at times hilariously funny, this is a drama that makes you question what is real and what is going on in Riggans head. Michael Keaton is brilliant and Edward Norton is particularly amusing as pretentious theatre actor Michael Shiner.

They Came Together (2014)
A rom-com that ridicules to 'same old' fairytale formula of rom-coms this is a really likeable funny film. If you hate rom-coms watch this, you'll be laughing out loud, and if you love them you probably will be too.

The Enemy (2015)
Jake Gyllenhaal is a mild mannered college professor who discovers he has a doppelgänger after watching a dvd and finding one of the actors is his exact double. He tracks him down to try and find an explanation and everything goes crazy. To put it bluntly this film is a total mind fuck! It makes you question everything, as every little detail is a puzzle piece to the story. It will leave you thinking about it long after you've watched it and cause many heated debates about the meaning (There's even a 25 minute YouTube video that tries to explain the meaning!) It's only after all that, that you realised just how warped and clever the film is.

Sunday, 1 February 2015

Graze Box tasting....

I found this post lurking in my drafts so thought I'd post it...

Here's my thoughts on what I got in my latest Graze box...

Coffee and Walnut Cake
This contained chocolate covered coffee beans, walnuts, sponge pieces, and raisins. I love coffee and walnuts so was looking forward to tasting this one, but found it a little disappointing. The sponge pieces tasted like cardboard :/ 

This one was nice and simple, it was a mixture of dark and milk Belgian chocolate buttons and brazil nuts and was very tasty.

Brooklyn Bites
This is by far one of my favourite Graze box snacks! It's a mix of poppy seed pretzels, cheese cashews (which are more tangy than cheesy but still nice), and toasted pumpkin seeds. It's also started my new obsession with the deliciousness of pumpkin seeds. Everything in this mix goes perfectly together.

Toffee Apple
This is my all time favourite Graze snack. I could seriously eat it forever! Its dried Granny Smith apple pieces with a toffee sauce dip. It is delicious, there just needs to be more.. much more!